Contribuciones desde la arquitectura y la ingeniería a los edificios de energía minera

Supervised by:
  1. Miguel Ángel Martínez Bohórquez Director
  2. José Manuel Andújar Márquez Director

Defence university: Universidad de Huelva

**Here the text breaks off for data records:**
┌──
(1)
The following is a DFT calculation (ωB97M-V with the def2-TZVPD basis set) of the molecule C17H20N2O6S2.

Output
Highest occupied orbital energy ... -8.694 eV
SMILES ... C[C@H]1OC2=C(C(=O)[C@@]3(O)C[C@@]45SS[C@@](CO)(NC4=O)C(=O)N5[C@H]3C2)C1(C)C
Kohn-Sham gap ... 8.8 eV

The geometry in ORCA input format:
```
! wB97M-V def2-TZVPD RIJCOSX def2/J DEFGRID3
* xyz 0 1
N -1.1585 1.5635 -0.9364
H 1.8441 -4.1421 2.5568
O 1.0477 -0.1878 -2.8310
H 2.5999 -2.2963 3.1875
H -2.6555 3.5037 1.7356
H -1.2445 -0.3929 -3.4070
C 0.0548 0.8767 -0.6786
H -1.9796 -1.0533 -1.7489
H 3.0379 -3.8747 -0.4742
S -2.0514 2.4129 -3.4566
S -2.5639 4.0817 -2.3925
H 1.4085 -4.7788 0.9662
H 3.8573 -3.7162 1.1095
H 0.9617 1.5412 -0.7758
C 3.9477 -1.0358 2.0429
H 0.9356 -0.9849 -3.4026
C 2.5877 -1.6922 2.2480
C 1.2034 -1.6268 0.3404
C -3.5211 4.3187 0.2059
C 0.9340 -0.6470 1.1924
C -1.9951 1.0809 -2.0216
H 4.0442 -0.6372 1.0552
H 4.2696 -0.2833 2.8457
H -4.6287 2.2196 -0.2876
O 1.6938 -0.5841 2.2970
C 1.3495 -3.8769 1.5903
H -4.5465 4.5764 -0.1092
C 3.2473 -3.1741 0.2714
C -2.9201 3.3597 -0.7783
C -3.4783 1.1830 -1.4730
N -3.9561 2.3574 -1.0235
C 0.5899 -1.6401 -0.9997
C 2.0707 -2.5951 1.0785
C -1.3659 -0.2909 -2.2809
C -1.4641 2.8415 -0.4265
H 4.6679 -1.8072 2.1852
H -2.9905 5.2299 0.2541
H -0.9425 0.1939 0.9965
H 0.4895 -3.6394 1.8825
H 0.3477 1.3355 1.4738
O -3.5566 3.6900 1.5014
H 3.9141 -2.4683 -0.2347
C 0.0859 0.4844 0.8799
C 0.0624 -0.3298 -1.7308
O -4.1838 0.1652 -1.0914
O -0.8047 3.3537 0.4355
O 0.7547 -2.6143 -1.7714
*
```

(2)
The following is a DFT calculation (ωB97M-V with the def2-TZVPD basis set) of a cluster of 10 separate species, C49H71BClN9O10P3S in total.

Output
Highest occupied orbital energy ... -5.962 eV
Kohn-Sham gap ... 7.6 eV

The geometry in ORCA input format:
```
! wB97M-V def2-TZVPD RIJCOSX def2/J DEFGRID3
* xyz -1 1
O 5.1077 -3.4678 2.2407
H 3.8245 -0.2249 -1.1458
C -1.4835 -3.2410 6.5924
N -0.7679 -7.4550 5.1782
C -2.2004 3.8983 -6.0673
C 8.8241 -1.2915 -8.9592
N -3.7387 5.4935 -1.5189
H 6.7647 -3.9488 -5.8643
H -2.1321 4.8478 -4.1699
H 3.3844 -6.2403 2.4422
H -2.7827 8.2632 3.8882
N 5.9485 -3.3955 -2.7485
H 3.0351 2.4736 1.7415
H -5.4559 5.1648 2.4349
H -3.1400 4.3126 -6.4073
N -5.4899 6.4503 4.1418
P -2.3660 -1.0826 0.9322
C 6.6787 -3.9004 -4.7865
C 3.1630 -0.5190 -0.1969
C -4.6181 10.1551 -5.8715
O -2.7272 -4.5000 2.0236
H -0.4706 -6.5455 2.4485
H -2.8161 -1.5244 2.2273
C 7.0488 -4.1967 -2.5873
O 4.5081 -3.7613 -0.0922
H 5.7774 -1.5903 -7.8534
C 0.3798 -8.1014 5.5573
O -2.4588 -5.5605 -0.9296
H -6.2237 4.9763 -3.5773
H 10.0431 -1.2026 -7.1383
H 8.3874 -5.1429 -4.0441
H 0.5227 0.9139 2.2440
C 7.8216 -1.4108 -6.9489
H -2.8106 -3.9747 2.8953
P -1.5770 -4.1032 -1.3867
C -4.6746 7.4382 4.6295
H -7.6085 3.4665 0.1415
H -1.4355 2.5961 -7.6575
C -3.2697 9.7633 -6.0485
H -1.9358 -10.4320 5.8516
N -4.3126 8.1960 -4.8665
C 2.3557 0.8386 0.2412
C -5.7926 2.1701 0.3313
H 4.8793 -2.6119 -4.4246
H -0.8254 -6.4887 4.8841
H -6.5427 7.1184 -1.9399
└──

Fecha de defensa: 22 September 2017

# 1
The following is a quantum chemistry calculation of a structure of composition C55H42LaO2P3S4Sb, from the OMol25 dataset.

The HOMO energy (alpha / beta) is -5.18 / -6.75 eV. Its molecular weight is 1216.80 g mol⁻¹. Its energy above the lowest of the compared OMol25 structures with the same formula, charge and spin is 0.00 kJ/mol. As for the net charge: 0. The total energy is -5160.31510 hartree. The calculation puts the HOMO-LUMO gap (alpha / beta) at 4.86 / 6.34 eV. Its multiplicity is 2.

Each line ends with the Löwdin spin population.
Geometry (Å):
La (-0.11624, -0.51972, 1.05564)  0.15
O (-3.99024, 0.51887, -0.63475)  0.00
S (-2.80895, 1.18086, -0.02747)  0.00
C (-2.27167, 2.39931, -1.24465)  0.00
C (-3.07129, 3.51822, -1.47952)  0.00
C (-2.78565, 4.36782, -2.52908)  0.00
C (-1.71076, 4.09437, -3.36563)  0.00
C (-0.93111, 2.97812, -3.13972)  0.00
C (-1.18792, 2.11461, -2.07327)  0.00
P (-0.08826, 0.66686, -1.78214)  0.00
C (-0.53593, -0.43030, -3.16876)  0.00
C (-1.90005, -0.67343, -3.34859)  0.00
C (-2.33074, -1.56292, -4.31668)  0.00
C (-1.40521, -2.21720, -5.11891)  0.00
C (-0.05102, -1.99094, -4.93352)  0.00
C (0.38814, -1.10940, -3.95510)  0.00
C (1.58089, 1.30756, -2.11911)  0.00
C (2.37423, 1.63674, -1.02637)  0.00
C (3.65784, 2.13206, -1.20552)  0.00
C (4.16684, 2.28808, -2.48297)  0.00
C (3.38919, 1.95507, -3.58471)  0.00
C (2.10604, 1.47142, -3.40286)  0.00
C (-3.40279, 2.28473, 1.25020)  0.00
C (-4.75987, 2.58926, 1.20198)  0.00
C (-5.26814, 3.53230, 2.07802)  0.00
C (-4.42449, 4.16892, 2.97922)  0.00
C (-3.09058, 3.81107, 3.05048)  0.00
C (-2.55831, 2.83183, 2.21028)  0.00
P (-0.84945, 2.20751, 2.48615)  0.01
C (-0.86490, 1.92306, 4.28511)  0.00
C (0.32523, 1.94133, 5.00840)  0.00
C (0.33645, 1.60284, 6.34995)  0.00
C (-0.84011, 1.22715, 6.98464)  0.00
C (-2.02531, 1.18385, 6.26684)  0.00
C (-2.03877, 1.52735, 4.92439)  0.00
C (0.13504, 3.71868, 2.22594)  0.00
C (0.44745, 4.02616, 0.90321)  0.00
C (1.14951, 5.17580, 0.58841)  0.00
C (1.56086, 6.02912, 1.60376)  0.00
C (1.25837, 5.72828, 2.92301)  0.00
C (0.54792, 4.57954, 3.23456)  0.00
H (-3.91677, 3.72588, -0.84060)  0.00
H (-3.40135, 5.23929, -2.69952)  0.00
H (-1.48451, 4.74873, -4.19473)  0.00
H (-0.10122, 2.77922, -3.79857)  0.00
H (-2.64125, -0.19181, -2.72261)  0.00
H (-3.38796, -1.74817, -4.43574)  0.00
H (-1.73807, -2.90981, -5.87895)  0.00
H (0.67803, -2.51278, -5.53703)  0.00
H (1.45310, -0.97893, -3.80599)  0.00
H (2.03569, 1.49422, -0.00864)  0.00
H (4.25711, 2.37588, -0.34160)  0.00
H (5.17225, 2.66013, -2.62537)  0.00
H (3.78379, 2.06333, -4.58542)  0.00
H (1.51869, 1.18974, -4.26861)  0.00
H (-5.38089, 2.08017, 0.48022)  0.00
H (-6.32128, 3.77709, 2.05469)  0.00
H (-4.81365, 4.91963, 3.65094)  0.00
H (-2.45331, 4.26440, 3.79957)  0.00
H (1.25991, 2.19883, 4.52091)  0.00
H (1.26883, 1.61882, 6.89439)  0.00
H (-0.82742, 0.95185, 8.02998)  0.00
H (-2.94195, 0.86356, 6.74258)  0.00
H (-2.97224, 1.45967, 4.37831)  0.00
H (0.13914, 3.36489, 0.09914)  0.00

  1. Carlos Bordóns Alba Chair
  2. Carlos Cerezo Dávila Secretary
  3. José Antonio Grande Gil Committee member

Type: Thesis


In chapter 1 of this doctoral thesis we present an overview of the thesis, highlighting the innovations, the scientific contributions and the research transfer results carried out until the date of its deposit In Chapter 2 of this doctoral thesis we conducted a comprehensive review of the state of the art in scientific and regulatory knowledge regarding the energy efficiency of buildings. This chapter finish with a section devoted to the MEB concept, where a proposal for the nZEB Spain's definition is provided. Chapter 3: Ground thermal diffusivity calculation by direct soil temperature measurement. Application to very low enthalpy geothermal energy systems, comes to make a contribution for the incorporation of this kind of renewable energy to MEB buildings in subtropical climate. It develops a scientific methodology for the exact calculation of the thermal diffusivity of a soil. In a simple and, over all, economic way. To do this, using the geotechnical tests compulsory in the structural safety regulations, we measure the temperature of the soil to the depth where the very low enthalpy geothermal system (VLEGE) is going to be installed. This measure, carried out by an experimental probe developed y the research team, allows the thermal diffusivity of the terrain to be calculated through an analytical development, which is the fundamental parameter for the design and dimensioning of the VLEGE. Chapter 4: Simple, quick and low-cost measurement of thermal transmittance in buildings, aims to achieve MEB buildings by improving the insulation capacity of its envelope. It develops a quick, inexpensive and easy to use measuring system that allows multiple measurements to be taken at the same time in a single building or even in adjoining buildings when it comes to the energy retrofitting of an quartier or a complete neighborhood. A system has been developed that, contrary to what is done today, does not need to measure heat diffusivity in the building envelope. It only needs to obtain temperature measurements that, using the Fourier differential equation, known in some areas such as Newton's cooling law, gives us the value of the thermal transmittance (U-Value) of the envelope. Chapter 5: uhuMEB: Methodology of design, construction and operation of minimum energy consumption buildings in subtropical climate, is making a fundamental methodological contribution for the operational integration of the different phases of development of an MEB in subtropical climate. These different phases include negotiation, architectural design, facility engineering, construction management and the operation and maintenance phase of the MEB. A key tool for the implementation of this methodology is the building information model (BIM), with a specific level of development (LOD) for each phase. At the end of the chapter, a real experimental case is shown for the step-by-step validation of the methodology. It is a detached house in a subtropical climate called Casa Zaranda. Chapter 6: Energy retrofitting at territorial level, this is a complete and self-contained research on the contributions made to energy retrofitting at neighborhood level, for the significant improvement of energy efficiency in a subtropical climate region of Andalucía. Although in Chapter 5 it was experimented with a newly built single family dwelling, which allowed to put in value the developed methodology applied to new work, this chapter 6 constitutes a second and more extensive experimental test, applied to the energetic retrofitting of social housing in the eight main cities of Andalusian region. Finally, in chapter 7 of this thesis, we summarize the main conclusions and the future developments that derive from the research work carried out, focusing in the new research lines that are opened in the field of energy efficiency in buildings.